Neuropsychological Evaluations

We have expertise in:

  • Turning - Five Evaluations for entry to Kindergarten

  • Autism Spectrum Disorder, Aspergers and Social Communication Disorders

  • Dyslexia, dysgraphia and other language based learning disabilities

  • Nonverbal Learning Disabilities

  • Attention Deficit Hyperactivity Disorder

  • Anxiety, Depression and struggles with Affect Regulation

  • Testing for Accommodations for Standardized Tests including - SAT, ACT, GRE, LSAT, GMAT

Neuropsychological evaluations are comprehensive assessments and include information from several settings. They involve face-to-face testing with the individual assessing current functioning in many areas including thinking and cognitive skills, attention, executive functioning skills, memory, learning, visual spatial and perception, academics, and social emotional status. Assessing these abilities helps to show how each of these skills interact to create a unique learning profile.

The evaluation process includes the following:

  • Meeting with parents and involved family members for an initial intake

  • Observation of the student in his or her educational environment

  • Contact with teachers and related therapists

# Data records, as found in the file
- - -
Record 1
Computed, not measured: one molecule with the formula C18H24N4O3S at a distorted geometry, with ωB97M-V/def2-TZVPD.

Computed properties:
Energy relative to the best compared isomer or geometry (same formula, charge and spin): 1.137 eV
SMILES: CC(C)c1nc(CNC(=O)C[C@H]2C(=O)NCCN2Cc2ccoc2)cs1
Multiplicity: 1
Orbital gap: 0.33467 Eh
Max |F|: 1.063 eV Å⁻¹
E_HOMO: -8.493 eV
LUMO energy: 0.614 eV
Calculated total energy: -41994.3333 eV

Cartesian coordinates (Å):
C -5.4162 1.0279 -1.1015
H -5.2533 2.0035 -1.5539
H -5.7631 1.1701 -0.0807
H -6.1873 0.5074 -1.6638
C -4.1196 0.2094 -1.1050
C -3.0743 0.9559 -0.3499
N -2.7923 0.7885 0.8898
C -1.8325 1.6471 1.3310
C -1.3586 2.5000 0.3841
S -2.1458 2.2329 -1.1200
H -0.6021 3.2503 0.4833
C -1.3206 1.5125 2.7344
N -0.5375 0.2955 2.8537
C 0.7319 0.2536 2.3779
O 1.3254 1.2585 2.0373
C 1.3549 -1.1242 2.3248
H 0.6180 -1.9107 2.4826
H 2.1173 -1.1923 3.1061
C 2.0651 -1.3447 0.9807
N 1.1483 -1.9483 0.0173
C 1.7847 -2.8249 -0.9443
C 3.2365 -2.4166 -1.2238
N 3.9456 -2.5062 0.0278
C 3.3478 -2.1488 1.1841
O 3.8401 -2.3715 2.2698
H 4.7987 -3.0398 0.0932
H 3.2669 -1.3901 -1.6094
H 3.6967 -3.0802 -1.9565
H 1.7949 -3.8405 -0.5261
H 1.2056 -2.8353 -1.8678
C 0.2008 -1.0035 -0.5624
C 0.7845 -0.0019 -1.5107
C 0.8556 -0.0858 -2.8711
O 1.4696 0.9922 -3.3882
C 1.8023 1.7853 -2.3544
C 1.4110 1.2332 -1.1766
H 1.5331 1.6416 -0.1937
H 2.3064 2.7031 -2.5829
H 0.5059 -0.8286 -3.5613
H -0.5621 -1.5933 -1.0800
H -0.2816 -0.4765 0.2622
H 2.4248 -0.3607 0.6295
H -1.0546 -0.5636 2.9534
H -2.1501 1.4657 3.4414
H -0.6677 2.3548 2.9697
C -4.3434 -1.1678 -0.4853
H -3.4245 -1.7482 -0.5044
H -4.6585 -1.0591 0.5483
H -5.1107 -1.7055 -1.0366
H -3.7815 0.0980 -2.1412


Record 2
Computed, not measured: C47H80F33N8O25S11 as an isolated structure at a distorted geometry, with ωB97M-V/def2-TZVPD.

Computed properties:
Multiplicity: 1
Orbital gap: 0.18533 Eh
Max |F|: 7.410 eV Å⁻¹
E_HOMO: -3.622 eV
LUMO energy: 1.421 eV
Net charge: -3
Calculated total energy: -321995.5627 eV

Cartesian coordinates (Å):
C 4.9973 2.1821 -0.5651
C 3.6416 1.6552 -1.0287
C 2.9119 0.8945 0.1579
N 1.4895 0.2329 -0.0840
C 0.8155 0.1113 1.2702
C 1.3590 -1.0666 2.0809
C 1.5231 -2.3524 1.3492
C 2.2292 -2.1942 -0.0195
C 1.5686 -1.1043 -0.8584
C 0.6316 1.2850 -0.8296
H 5.6117 1.4376 -0.0588
H 4.8377 3.0758 0.0382
H 5.3787 2.4849 -1.5402
H 3.7617 0.9691 -1.8671
H 3.0111 2.4874 -1.3418
H 2.7967 1.7012 0.8818
H 3.5386 0.1768 0.6872
H 1.0157 1.0782 1.7320
H -0.2669 0.0749 1.1474
H 2.2746 -0.6811 2.5295
H 0.6202 -1.2962 2.8487
H 1.9854 -3.1091 1.9831
H 0.5489 -2.7857 1.1223
H 3.2926 -1.9802 0.0877
H 2.0527 -3.0673 -0.6478
H 1.9489 -0.8758 -1.8540
H 0.5480 -1.3923 -1.1107
H 0.8605 2.2613 -0.4024
H -0.4149 0.9802 -0.8295
H 1.0684 1.3072 -1.8280
C -8.6396 8.1624 -6.3548
C -7.4690 7.7131 -5.4770
C -7.8039 7.4782 -3.9755
N -6.5727 7.1185 -3.1009
C -7.0792 7.3745 -1.6090
C -8.2755 6.5210 -1.1216
C -7.8072 5.0259 -1.1923
C -7.3394 4.6914 -2.6258
C -6.2460 5.5871 -3.2085
- - -

  • Intensive face-to-face work with the student (about 6 hours for 4 year olds up to 10 hours to a school aged student)

  • Feedback for parent and child when appropriate

  • Attending IEP meetings to advocate for services and support

  • Developing individual learning plans for parents and teachers

The results of the evaluation are used for:

  • Diagnostic Clarification

  • Recommendations about learning needs and interventions

  • Educational Consultation for appropriate school settings

  • Advocacy for individual needs and supports

Tools that we use include, when applicable:

  • The Autism Diagnostic Observation Scale-2 (ADOS)

  • Projective Testing, including the Rorschach Test

  • Tests that demonstrate the need for extended time for standardized tests such as the SAT, ACT, GRE, MCAT, GMAT and LSAT

When to consider a neuropsychological evaluation

Neuropsychology is the understanding of the underlying neurological processes that impact behavior. The neuropsychological evaluation will give you comprehensive understanding of your child’s learning, social and emotional struggles. It will assess the domains of reasoning, language, memory, executive functioning, academics, social abilities and emotional functioning. This information is gathered from multiple sources, including: parent report, teacher report, classroom observation, review of prior records, and direct administration of tests to your child. Responses to information gathered are understood in terms of the developmental age of your child. Test scores are compared to those of other children at the same age and/or grade. Behaviors and social functioning are understood from a developmental context. The behavioral observations and interactions in the testing session also provide vital understanding. All of this information is aggregated, resulting in a document that is meant to provide a deep understanding of your child’s strengths and struggles. This process can also result in a diagnostic understanding of your child that will produce recommendations to address their areas of difficulties. 

As a parent, this evaluation process can be difficult because of the focus on the negative aspects of your child. Your child’s behaviors seem confusing and frustrating. You may feel that you have tried everything you can to help, but nothing is working, or working well enough, to make a noticeable improvement. To engage your child in this process may be difficult because in some respects, flaws and disabilities are magnified. It may also be difficult to read such a report about your child. This is important to make explicitly clear, as the aim of this process is to identify your child’s needs and address them within the context of who they are as a developing person. The diagnostic conclusions from this process contribute towards the goal of getting your child’s needs met, but they do not define who your child is. 

When children struggle academically, socially or emotionally, it can be painful to observe. As a parent, you want to do everything within your power to support your child and have him or her function to the best of their abilities. Children also naturally want to succeed. Their natural instinct is towards achievement and mastery over their environment, whatever developmental point they are at. When this ability goes awry, there is a direct impact on self esteem, from a lesser to greater extent, depending on the degree of difficulty, number of areas of functioning impacted, and how protracted the problem is. It is expected that children will have emotional reactions to struggles with performance. This can look like a child who is highly distractible and “loses time” creating a sense of lack of control; a highly impulsive boy who feels that he cannot control his own behaviors and feels ashamed and angry as a result; the painful experience of wanting to interact with other children and not knowing how to begin, or being able to start the engagement but not knowing how to keep it going; feeling so sensitive to the environment around you that you are too afraid to go out into the world; being distracted by sensory sensations to the point of not being able to do anything else.  Performance anxieties can be powerful and halting, incapacitating the student to apply themselves as needed. Often underlying these feelings are high levels of intelligence that is limited by difficulties with executive functioning, including slow processing speed and poor working memory. Finally the oppositional child can often be understood as “making passive into active.” For example, for the child who is struggling to learn how to read and write who is surrounded by peers who seem to be picking this up quite naturally, with the demands that he cannot seem to meet increasing, it can be quite natural to become oppositional and defiant as a way of taking back control – “I am not doing this because I am unable, but because I do not want to”. Children have a great sense of pride, and when developmental issues prevent them from performing in ways or levels that are expected, they will do what they can to preserve it.  The frustration and anxiety that arises from not being able to rise to expectations can be extremely high. This impacts children across the board, no matter what their level of skill or capacity may be. It can be excruciatingly painful to understand and reason at a very high level, but to not be able to get thoughts and ideas down on paper. Or, to be able to understand and reason through a problem, but not be able to quickly find and organize the words to express one’s thoughts. Emotional sensitivities, low frustration and difficulties with affect regulation can also have a powerful impact on the child’s functioning.  All of these issues, from a lesser to larger extent, contribute to one’s sense of self.

One of the most important outcomes of the neuropsychological evaluation is to gain better understanding of your child and his or her struggles. It will give you tools to help them.  The process is meant to be therapeutic. During the testing process the child is engaged about their approach to tasks with the goal of developing self reflection and awareness. The goal is for your child to emerge with a sense of increased self awareness and to feel understood. The evaluation also provides specific recommendations for intervention and in some cases, a recommendation for a different kind of school setting. The student – school match is imperative for children who are struggling with learning, attention and social issues.